Nomination of Robert L. Barry for the Rank of Ambassador While Serving as United States Representative to the Conference on Confidence and Security Building Measures and Disarmament in Europe
[Misplaced calculated crystals]
********
# 1
Starting from a structure optimized by DFT (GGA+U), the powder X-ray diffraction pattern of LiMn2B8O14 was calculated for Cu Ka.

Main lines, by intensity (15 to 90 degrees two-theta):
| two_theta | I_rel |
| --- | --- |
| 32.51 | 100 |
| 30.63 | 91 |
| 46.68 | 64 |
| 47.91 | 58 |
| 37.56 | 54 |
| 53.68 | 38 |
| 37.98 | 34 |
| 27.57 | 30 |
| 46.52 | 29 |
| 22.78 | 24 |

Crystal structure
```
LiMn2B8O14
1.0
5.252 0.000 0.000
0.000 5.497 3.444
0.000 -5.497 3.444
Li Mn B O
1 2 8 14
Cartesian
0.000 0.000 0.000
0.000 0.000 2.331
2.626 0.000 5.146
0.000 -1.355 5.148
0.000 1.355 5.148
1.333 -3.197 3.757
1.333 3.197 3.757
2.626 -1.308 2.279
2.626 1.308 2.279
3.918 -3.197 3.757
3.918 3.197 3.757
0.000 -2.342 3.954
0.000 0.000 4.537
0.000 2.342 3.954
1.175 -4.029 2.562
1.175 4.029 2.562
1.447 -1.502 1.500
1.447 1.502 1.500
2.626 -2.347 3.548
2.626 0.000 2.980
2.626 2.347 3.548
3.804 -1.502 1.500
3.804 1.502 1.500
4.077 -4.029 2.562
4.077 4.029 2.562
```

***

# 2
Starting from a structure optimized by DFT (GGA+U), the powder X-ray diffraction pattern of LiMn2BO4 was calculated for Cu Ka.

Main lines, by intensity (15 to 90 degrees two-theta):
| two_theta | I_rel |
| --- | --- |
| 35.18 | 100 |
| 27.33 | 41 |
| 45.12 | 31 |
| 21.73 | 27 |
| 60.50 | 24 |
| 68.24 | 19 |
| 52.84 | 18 |
| 56.40 | 15 |
| 39.04 | 11 |
| 63.78 | 11 |

Crystal structure
```
LiMn2BO4
1.0
-2.307 2.307 4.090
2.307 -2.307 4.090
2.307 2.307 -4.090
Li Mn B O
1 2 1 4
Cartesian
0.000 0.000 0.000
2.307 0.000 2.045
0.000 2.307 2.045
0.000 0.000 4.090
1.416 1.416 -0.832
0.891 -0.891 4.922
0.891 0.891 3.258
-0.891 0.891 4.922
```

***

# 3
Starting from a structure optimized by DFT (GGA+U), the powder X-ray diffraction pattern of LiMn2B2O6 was calculated for Cu Ka.

Main lines, by intensity (15 to 90 degrees two-theta):
| two_theta | I_rel |
| --- | --- |
| 19.77 | 100 |
| 25.78 | 78 |
| 20.93 | 78 |
| 34.30 | 66 |
| 33.75 | 63 |
| 21.48 | 60 |
| 46.85 | 46 |
| 19.28 | 44 |
| 37.83 | 40 |
| 25.43 | 38 |

Crystal structure
```
LiMn2B2O6
1.0
2.681 -4.492 0.000
2.681 4.492 0.000
-0.167 0.000 10.622
Li Mn B O
2 4 4 12
Cartesian
2.598 4.202 5.311
2.681 -4.202 0.000
1.766 1.392 9.047
3.301 1.630 1.219
1.850 -1.392 3.736
3.218 -1.630 6.529
1.693 1.692 3.919
3.379 1.590 6.450
1.610 -1.692 9.230
3.462 -1.590 1.140
1.434 1.787 0.546
1.121 0.488 4.074
2.155 1.857 7.068
1.038 -0.488 9.385
2.797 1.951 3.098
1.350 -1.787 5.856
3.778 1.665 9.929
2.238 -1.857 1.757
3.915 0.356 6.457
2.714 -1.951 8.409
3.998 -0.356 1.146
3.861 -1.665 4.618
```

***

# 4
Starting from a structure optimized by DFT (GGA+U), the powder X-ray diffraction pattern of Li2Mn3B3O9 was calculated for Cu Ka.

Main lines, by intensity (15 to 90 degrees two-theta):
| two_theta | I_rel |
| --- | --- |
| 21.49 | 100 |
| 21.73 | 55 |
| 36.29 | 32 |
| 37.97 | 28 |
| 35.35 | 17 |
| 35.60 | 16 |
| 35.91 | 16 |
| 35.73 | 16 |
| 37.55 | 16 |
| 43.80 | 15 |

Crystal structure
```
Li2Mn3B3O9
1.0
6.308 0.000 0.000
-0.210 8.274 0.000
********
The President today announced his intention to nominate Robert L. Barry, of New Hampshire, a career member of the Senior Foreign Service, Class of Career Minister, for the rank of Ambassador during the tenure of his service as United States Representative to the Conference on Confidence and Security Building Measures and Disarmament in Europe. He would succeed James E. Goodby.
Mr. Barry served in the United States Navy as lieutenant in 1957-1960. He entered the Foreign Service in 1962 and was vice consul in Zagreb in 1963-1965. In 1965-1967 he was in the Department as international relations officer in the Office of Soviet Union Affairs. He studied the Russian language at Munich (Garmisch) in 1967-1968. He was consular officer, then political officer in Moscow (1968-1970), political officer at the United States Mission to the United Nations in New York, NY (1970-1971), and deputy principal officer in Leningrad (1971-1973). He was on detail to the International Communication Agency as Director of U.S.S.R. Division of the Voice of America in 1973-1975. Mr. Barry returned to the Department as Deputy Director of the Office of Soviet Union Affairs (1975-1977), Director of the Office of United Nations Political Affairs (1977-1978), Deputy Assistant Secretary of State for International Organization Affairs (1978-1979), and Deputy Assistant Secretary of State for European Affairs (1979-1981). He was appointed Ambassador to Bulgaria in 1981 and served in Sofia until 1984, when he became a John Sloan Dickey fellow (Dartmouth College) and Distinguished Visitor of the W. Averell Harriman Institute for Advanced Study of the Soviet Union (Columbia University).
He graduated from Dartmouth College (B.A., 1956) and Columbia University (M.A., 1962). He attended Oxford University (England) in 1956-1957. His foreign languages are Russian, Serbo-Croatian, Bulgarian, and French. He is married to the former Margaret Crim, and they have two children. He was born August 28, 1934, in Pittsburgh, PA.
Ronald Reagan, Nomination of Robert L. Barry for the Rank of Ambassador While Serving as United States Representative to the Conference on Confidence and Security Building Measures and Disarmament in Europe Online by Gerhard Peters and John T. Woolley, The American Presidency Project https://www.presidency.ucsb.edu/node/260409